本論文欲從語義、句法及語用之角度來探討現代漢語「好」。「好」在現代漢語中包含多種語義,且具有多種功能,根據Halliday(1985,1994,2004)所提出的純理功能,本文將從「好」的概念功能(ideational function)、語篇功能(textual function)、人際功能(interpersonal function)三個層次來探討。
在概念功能(ideational functional)層次,本文將探討多義現象,包括核心語義及延伸語義化,進而探討其句法功能。在坊間語法書,拿《現代漢語八百詞》為例,就列出了十多種不同的語義,但歸根究底,「好」的核心語義卻只有一個,本文認為「好」為一多義詞(polysemy),從核心語義衍生出「友好」、「健康」、「容易」、「效果好」、「有利於」等延伸語義。在句法方面,各家學者認為「好」作形容詞和副詞是無庸置疑的,本文將討論「好」在句中之功能,除了形容詞和副詞之外,「好」還有變化動詞的用法,亦可作動詞後置成分,此外在有所爭議的詞性上加以討論。
在語篇功能(textual function)層次,和「好」是一個言談標記,只有「促進言談進行」之作用,本身並無「命題」上的涵義。本論文以會話言談口語語料來分析「好」的話語功能,「好」在會話結構中是一個「結束標記」,用來指出某活動的終止或談話的結束,進而發展成一個「過渡標記」,具有連接、轉換對話之功能,常可搭配時態「了」的使用。
在人際功能(interactional function)層次,「好」作「反饋標記」,表現下列語言行為:(1)接受;(2)執行;(3)確認。常可搭配言談標記:啊」、「吧」等。
- - -
# 1
C26H33FN4O3 in the gas phase at a distorted geometry, computed with ωB97M-V/def2-TZVPD.

Output
DFT total energy, eV: -42294.98143
E_HOMO, eV: -7.053
LUMO level, Ha: -0.00131

```
! RIJCOSX wB97M-V def2-TZVPD def2/J DEFGRID3
* xyz 0 1
O -1.6698 -1.0712 1.7492
C -1.1838 -2.2296 1.4983
N -1.9325 -3.2287 1.4820
H -1.5545 -4.2130 1.2522
C -3.5041 -3.4940 1.4464
H -3.8766 -2.4146 2.0081
H -3.9328 -4.1964 2.4952
C -4.1999 -3.5842 0.1139
C -3.7812 -2.5868 -0.8951
C -2.8687 -3.0067 -1.7911
C -2.4531 -1.8195 -2.8080
C -2.7150 -0.4700 -2.5182
C -4.0114 -0.5671 -2.0156
C -4.1911 -1.1116 -0.5879
H -5.2728 -1.2206 -0.4508
H -3.7106 -0.7634 0.3080
H -4.2012 0.5068 -1.6518
H -4.7764 -0.7823 -2.5812
H -2.3099 0.2047 -3.3249
H -1.9438 -0.2713 -1.4954
H -1.3780 -2.2158 -3.0890
H -3.0300 -2.1252 -3.6157
H -2.5861 -3.8737 -1.8222
H -3.9743 -4.5657 0.0950
H -5.2652 -3.3881 0.1169
C 0.2290 -2.5151 1.2835
O 0.5442 -3.8360 0.9830
N 0.9440 -1.2973 1.4726
H 0.3196 -0.6479 1.8434
C 2.3661 -1.4581 1.3922
H 2.7310 -2.3112 1.4644
H 2.7368 -0.7455 1.9105
C 2.7667 -0.9843 -0.1047
C 4.2110 -1.1543 -0.2601
C 5.0144 -0.4999 -1.1542
C 6.4147 -0.5657 -0.7511
C 6.2920 -1.5324 0.1534
O 4.9723 -1.6788 0.9341
H 6.9796 -1.9723 0.9612
H 7.1587 -0.3470 -1.1910
H 4.8153 0.0863 -1.8285
N 2.1063 0.3220 -0.3686
C 2.4066 1.3495 0.2722
C 2.2737 2.5345 -0.5540
N 0.8779 2.8044 -1.1969
C 0.1242 3.2807 -0.4058
C -1.2385 2.6986 -0.2540
C -2.1952 3.3235 0.4185
C -2.0285 4.7768 0.8736
C -0.9286 5.3190 0.9466
C 0.2244 4.6368 0.1647
H 1.1905 5.1003 0.0782
H -0.4220 6.2709 1.2592
F -2.9705 5.2513 1.7466
H -3.1967 2.9733 0.5723
H -1.5163 1.9513 -0.5297
C 0.6988 1.5067 -1.9948
C 0.8076 0.2843 -1.0582
H 0.7591 -0.4930 -1.7346
H 0.2830 0.2490 -0.0143
H -0.2058 1.5586 -2.4583
H 1.5112 1.5521 -2.6420
H 2.5783 3.5462 -0.0178
H 2.8802 2.6354 -1.3097
H 3.5537 1.2224 0.6456
H 1.8557 1.3616 1.1417
H 2.3355 -1.8929 -0.7410
*
```

# 2
A molecular structure, C45H45Cl2FeN5O3P2S4, computed with ωB97M-V/def2-TZVPD.

Output
Expectation value of S²: 8.80
DFT total energy, eV: -182344.47497
E_HOMO (alpha / beta), eV: -5.218 / -5.261
LUMO level (alpha / beta), Ha: 0.07158 / 0.03995

```
! RIJCOSX wB97M-V def2-TZVPD def2/J DEFGRID3
* xyz -1 6
Fe -0.8058 1.3466 0.6710
Cl -1.8324 3.0613 -1.1520
C -2.7039 2.1840 -2.3604
C -3.4910 2.9323 -3.2303
C -4.2394 2.2958 -4.1999
C -4.2071 0.9101 -4.3047
C -3.4196 0.1780 -3.4378
C -2.6375 0.7929 -2.4529
P -1.7853 -0.2263 -1.1628
C -3.2434 -1.3296 -0.8555
C -4.3628 -0.7956 -0.2170
C -5.4634 -1.5937 0.0512
C -5.4677 -2.9367 -0.3118
C -4.3667 -3.4699 -0.9651
C -3.2618 -2.6670 -1.2410
C -0.7079 -1.3761 -2.0790
C 0.0616 -2.3656 -1.2306
C 0.5292 -3.5462 -2.0216
C 0.5815 -3.5374 -3.3728
C 0.0779 -2.4351 -4.1097
C -0.5911 -1.3912 -3.4378
H -3.5091 4.0086 -3.1254
H -4.8569 2.8813 -4.8694
H -4.8022 0.4029 -5.0530
H -3.4131 -0.9025 -3.5123
H -4.3559 0.2415 0.0946
H -6.3264 -1.1644 0.5449
H -6.3286 -3.5586 -0.0974
H -4.3615 -4.5105 -1.2683
H -2.4244 -3.0896 -1.7842
H -0.5829 -2.6944 -0.4064
- - -
We have approached the research in the following thesis from both semantic and pragmatic angles. The Chinese word hao contains a remarkable number of semantic meanings and functions, based on Halliday’s meta-linguistic theory, in which “ hao” is analyzed from three different levels: namely, ideational functions, textual functions, and interpersonal functions. On the ideational level, the core meaning of the word hao has led to a wide semantic range. Many grammar books, “xiandaihanyubabaici”現代漢語八百詞 being one example, list more than 10 different meanings for the word “hao”. While on the surface it would seem that hao has only one basic meaning, this core semantic use has nonetheless extended to a wide polysemous range of uses based upon this core meaning. From a grammatical perspective, many scholars conceive of hao’s syntactical function as either adjectival or adverbial. Besides those grammatical uses, “hao” can also function as a process verb or as a post verb. This thesis will discuss the full grammatical range of this word. On a textual level, “hao” is used as a discourse marker. While in this sense in carries no intrinsic meaning, it nevertheless can be used to make dialogical and monological transitions more cohesive. This thesis will analyze this function of “hao”, using data from daily speech. Hao also functions as a closure marker in the structure of conversational discourse, predicating a following subject. This use parallels one of the uses of “le”. On an interactional or interpersonal level, “ hao” can function as a recipient tokens, that is, as a back channel indicating that the speaker’s discourse has been received. These can be categorized as interactional speech acts, such as: (1) acceptance, (2)undertaking , (3) acknowledgment. On this level, “hao” often appears in conjunction with “a” or “ba”.
We have approached the research in the following thesis from both semantic and pragmatic angles. The Chinese word hao contains a remarkable number of semantic meanings and functions, based on Halliday’s meta-linguistic theory, in which “ hao” is analyzed from three different levels: namely, ideational functions, textual functions, and interpersonal functions. On the ideational level, the core meaning of the word hao has led to a wide semantic range. Many grammar books, “xiandaihanyubabaici”現代漢語八百詞 being one example, list more than 10 different meanings for the word “hao”. While on the surface it would seem that hao has only one basic meaning, this core semantic use has nonetheless extended to a wide polysemous range of uses based upon this core meaning. From a grammatical perspective, many scholars conceive of hao’s syntactical function as either adjectival or adverbial. Besides those grammatical uses, “hao” can also function as a process verb or as a post verb. This thesis will discuss the full grammatical range of this word. On a textual level, “hao” is used as a discourse marker. While in this sense in carries no intrinsic meaning, it nevertheless can be used to make dialogical and monological transitions more cohesive. This thesis will analyze this function of “hao”, using data from daily speech. Hao also functions as a closure marker in the structure of conversational discourse, predicating a following subject. This use parallels one of the uses of “le”. On an interactional or interpersonal level, “ hao” can function as a recipient tokens, that is, as a back channel indicating that the speaker’s discourse has been received. These can be categorized as interactional speech acts, such as: (1) acceptance, (2)undertaking , (3) acknowledgment. On this level, “hao” often appears in conjunction with “a” or “ba”.
純理功能, 多義詞, 語法化, 反饋項目, 言談標記, metalinguistic, polysemy, grammaticalize, discourse marker, recipient tokens